You probably already have a general idea of how a healthcare staffing help agency can help organizations overcome hiring shortages. After all, staffing agencies can provide labor power that you can put to work. However, the specific benefits of using staffing agencies to address shortages sometimes go unappreciated. Let’s take a closer look at some specific ways these agencies can help.

Get Help Without All the Interviews

Interviewing healthcare candidates can take a long time. You may have to run background checks, examine credentials, and complete other tasks. Talking with candidates requires a lot of effort as well. By the time you find a candidate you want to hire, they may have found a job or otherwise may have withdrawn from the labor market. With a staffing agency, much of this work is already done ahead of time.

Starting With Temporary Workers Reduces Risks

_Attached: records of crystals_
-- begin --
--- one ---
Entry from the Alexandria database: a geometry-optimized AgGeF2 structure (GGA-PBE).

Cell lengths 4.143, 4.143, 7.981 Å; angles 74.96, 74.96, 90.00 degrees
Positions (direct):
Ge 0.250 0.750 0.500
F 0.159 0.625 0.250
F 0.591 0.125 0.250
Ge 0.500 0.500 0.000
F 0.875 0.841 0.750
F 0.375 0.409 0.750
Ag 0.750 0.250 0.500
Ag 0.000 0.000 0.000

* spin magnetization: 0.0 Bohr magnetons per cell
* DOS at the Fermi energy: 0.769 states/eV per atom
* ρ: 5.7 Mg/m³

***

--- two ---
Entry from the Alexandria database: a geometry-optimized AgGeF2 structure (GGA-PBE).

Cell lengths 4.347, 4.347, 4.347 Å; angles 60.00, 60.00, 60.00 degrees
Positions (direct):
Ag 0.500 0.500 0.500
F 0.750 0.750 0.750
F 0.250 0.250 0.250
Ge 0.000 0.000 0.000

* spin magnetization: 0.0 Bohr magnetons per cell
* DOS at the Fermi energy: 0.848 states/eV per atom
* ρ: 6.2 Mg/m³

***

Which structure loses on stability? two does.

***

--- one ---
Entry from the Alexandria database: a geometry-optimized AgGeF6 structure (GGA-PBE).

Cell lengths 5.999, 5.003, 5.003 Å; angles 79.79, 110.71, 69.29 degrees
Last column: magnetic moment on the atom in μB.
Positions (direct):
F 0.261 0.025 0.342  0.05
F 0.739 0.342 0.025  0.05
Ge 0.000 0.021 0.021  -0.01
F 0.261 0.700 0.016  0.05
F 0.739 0.016 0.700  0.05
F 0.078 0.269 0.772  0.14
Ag 0.500 0.021 0.021  0.55
F 0.922 0.772 0.269  0.14

* spin magnetization: 1.1 Bohr magnetons per cell
* DOS at the Fermi energy: 0.058 states/eV per atom
* ρ: 4.0 Mg/m³

***

--- two ---
Entry from the Alexandria database: a geometry-optimized AgGeF6 structure (GGA-PBE).

Cell lengths 5.089, 5.272, 5.745 Å; angles 59.32, 63.39, 61.43 degrees
Last column: magnetic moment on the atom in μB.
Positions (direct):
Ge 0.000 0.000 0.000  0.01
F 0.083 0.376 0.774  0.10
F 0.345 0.807 0.794  0.02
F 0.220 0.909 0.235  0.09
F 0.655 0.193 0.206  0.02
Ag 0.500 0.500 0.500  0.61
F 0.917 0.624 0.226  0.10
F 0.780 0.091 0.765  0.09

* spin magnetization: 1.1 Bohr magnetons per cell
* ρ: 4.4 Mg/m³

***

Which structure loses on stability? one does.

***

--- one ---
Entry from the Alexandria database: a geometry-optimized Ag3GeF structure (GGA-PBE).

Cell lengths 4.609, 4.609, 4.609 Å; angles 90.00, 90.00, 90.00 degrees
Positions (direct):
Ag 0.000 0.000 0.500
Ag 0.000 0.500 0.000
Ag 0.500 0.000 0.000
Ge 0.500 0.500 0.500
F 0.000 0.000 0.000

* spin magnetization: 0.0 Bohr magnetons per cell
* DOS at the Fermi energy: 0.368 states/eV per atom
* ρ: 7.0 Mg/m³

***

--- two ---
Entry from the Alexandria database: a geometry-optimized Ag3GeF structure (GGA-PBE).

Cell lengths 4.930, 4.930, 4.930 Å; angles 90.00, 90.00, 90.00 degrees
Last column: magnetic moment on the atom in μB.
Positions (direct):
F 0.500 0.500 0.500  0.18
Ag 0.000 0.000 0.500  0.07
Ag 0.500 0.000 0.000  0.07
Ge 0.000 0.000 0.000  0.15
Ag 0.000 0.500 0.000  0.10

* spin magnetization: 0.8 Bohr magnetons per cell
* DOS at the Fermi energy: 1.554 states/eV per atom
* ρ: 5.8 Mg/m³

***
-- stop --

Staffing agencies can pre-vet people, and they can provide temporary workers so that you don’t have to make long-term commitments. In some cases, a company will find a temp-worker that they really like. It’s often possible to hire these folks to step in full-time. This way, the organization can be confident that the healthcare worker is a good fit since they have already been doing the work.

If your organization is growing, but you’re not sure exactly how big it may get, working with staffing agencies can allow you to expand staff right now. Later, if you’ve found that the staff has gotten too big or that some areas of service will need to be curtailed, it’s often easier to do so with a staffing agency. This way, you can enjoy flexibility and can pivot more easily as needs change.

Many Agencies Provide Training and Other Forms of Assistance

Staffing agencies partner with their clients, including both workers and employees, to provide training, set expectations, and otherwise reduce hassles and risks. Often, they can help identify the best fit for a particular job or role and can find someone who can get to work relatively quickly. This can reduce headaches for the healthcare organization and their Human Resources department. If issues come up, such as someone underperforming in a role, a healthcare staffing help agency may be able to help resolve things more quickly.

All these benefits make it easier for companies to address hiring shortages. Companies can get people into place quickly and improve efficiency, which can be especially helpful when expanding staff is difficult. According to Registered Nursing, California is projected to be extremely short staffed when it comes to nurses in 2030. If you’re looking for healthcare staffing help, please reach out to us.

Posted 7/23/24